Data
~~~
Entry 1:
C4H13N2O2 as an isolated structure. Source: OMol25; level of theory: ωB97M-V with the def2-TZVPD basis set.

Summary:
- Total charge: +1
- Frontier orbital gap: 6.80 eV
- Energy relative to the best compared isomer or geometry (same formula, charge and spin): 8.602 eV

XYZ file:
```
21
Properties=species:S:1:pos:R:3:forces:R:3:nbo_charge:R:1
O 0.740 1.713 1.660 -3.440 -0.918 -4.960 -0.53
C 0.144 1.442 0.420 4.750 5.269 0.690 0.70
N 0.200 2.479 -0.576 0.645 -3.036 0.729 -0.86
C -0.134 0.072 0.124 -2.977 -2.780 1.318 0.02
N -1.157 -0.146 1.893 -0.605 1.412 -1.886 -1.04
C 0.298 -2.360 0.689 -1.629 0.909 -0.469 -0.57
C 0.901 -0.930 0.473 1.287 -1.703 -0.078 -0.48
H 1.174 2.798 -0.650 -0.465 0.287 0.379 0.44
H -0.449 3.228 -0.450 -0.517 0.519 0.126 0.44
H -0.813 -0.174 -0.810 1.079 0.575 2.244 0.33
H -2.093 -0.160 1.527 -0.261 0.172 -0.105 0.37
H -1.236 -0.221 2.946 1.473 -0.121 -1.481 0.45
H -0.159 1.159 1.796 -0.318 -1.098 3.877 0.52
H 0.163 -2.682 1.703 0.307 0.321 0.766 0.24
H -0.754 -2.312 0.319 0.811 -0.365 -0.043 0.22
H 0.841 -3.126 0.164 0.256 -0.081 -0.313 0.23
H 1.541 -1.156 -0.359 0.324 0.600 -1.120 0.27
H 1.627 -0.591 1.222 -0.682 0.032 0.201 0.25
H -1.057 0.085 -4.152 2.252 -0.170 0.547 0.48
H 0.313 0.883 -4.087 -0.686 -1.408 0.251 0.48
O -0.089 0.001 -3.851 -1.604 1.584 -0.671 -0.96
```
Positions in Å, forces in eV/Å.

Entry 2:
A 9-piece molecular cluster, C19H56N8O9 overall. Source: OMol25; level of theory: ωB97M-V with the def2-TZVPD basis set.

Summary:
- Structure (SMILES): NC(N)=O.NC(N)=O.NC(N)=O.NC(N)=O.CC(C)O.CC(C)O.CC(C)O.CC(C)O.CC(C)O
- Total charge: 0
- Frontier orbital gap: 9.10 eV
- Energy relative to the best compared isomer or geometry (same formula, charge and spin): 10.080 eV

XYZ file:
```
92
Properties=species:S:1:pos:R:3:forces:R:3:mulliken_charge:R:1
N -28.679 14.950 -13.484 -0.489 3.299 -0.231 -0.23
C -28.516 13.920 -12.734 1.937 0.141 7.789 0.49
N -28.480 12.714 -13.258 0.199 -2.164 0.173 -0.32
O -28.303 14.142 -11.351 -1.270 -1.127 -6.170 -0.70
H -28.707 15.844 -12.996 -0.083 -0.473 -0.266 0.26
H -28.971 14.900 -14.437 -0.132 0.123 -0.225 0.32
H -28.059 11.929 -12.622 -0.541 1.084 -1.407 0.20
H -28.762 12.513 -14.259 0.492 0.562 1.487 0.26
N -29.062 14.649 -16.204 1.129 3.419 -0.772 -0.42
C -29.820 13.580 -16.169 -6.586 0.252 -3.492 0.25
N -29.105 12.519 -15.833 -0.058 -4.005 -0.379 -0.52
O -31.131 13.608 -16.534 6.464 -0.397 2.309 -0.69
H -29.343 15.503 -16.660 -0.412 -0.207 0.009 0.24
H -28.070 14.551 -16.100 0.238 -0.046 -0.107 0.24
H -29.716 11.644 -15.979 1.229 0.836 0.027 0.16
H -28.073 12.400 -16.015 -1.856 0.556 -0.056 0.32
N -26.810 12.189 -10.340 1.757 1.285 2.749 -0.12
C -26.435 11.228 -11.146 8.245 0.808 2.029 0.10
N -27.422 10.734 -11.841 -0.973 -3.299 -2.545 -0.25
O -25.123 10.848 -11.258 -6.281 1.339 0.210 -0.77
H -27.680 12.768 -10.420 0.891 -0.224 -0.437 0.16
H -25.987 12.516 -9.778 -1.552 -0.012 -0.751 0.25
H -26.942 9.982 -12.314 -0.536 -0.561 -0.917 0.25
H -28.179 10.332 -11.297 -0.150 0.100 0.008 0.32
N -29.070 7.376 -10.814 0.002 -4.104 -1.242 -0.36
C -29.784 8.292 -11.489 -1.953 -1.595 -5.380 -0.03
N -29.668 9.439 -10.884 -2.352 4.087 -0.805 0.00
O -30.417 8.072 -12.750 3.554 1.036 6.980 -0.62
H -29.060 6.439 -11.235 0.125 0.682 0.211 0.40
H -28.796 7.360 -9.843 -0.149 0.736 -0.126 0.19
H -30.143 10.303 -11.378 0.717 -1.375 1.123 -0.14
H -29.463 9.545 -9.901 -0.010 -0.384 -0.044 0.25
C -32.496 12.561 -8.650 1.195 1.390 2.257 -0.75
C -32.692 11.717 -7.364 -6.358 -0.645 -5.231 0.04
C -33.083 10.309 -7.754 0.371 1.293 -2.488 -1.35
O -31.693 11.651 -6.601 6.591 0.455 6.099 -0.51
H -32.428 13.623 -8.322 0.255 -0.690 -0.250 0.40
H -33.371 12.568 -9.227 -1.168 -0.560 -1.099 0.59
H -31.583 12.334 -9.236 -0.626 -0.201 0.466 -0.28
H -33.567 12.069 -6.793 -0.270 0.643 -0.490 0.30
H -34.067 10.277 -8.118 -1.355 -0.124 -1.045 0.49
H -33.074 9.695 -6.966 -0.022 -2.173 3.592 0.65
H -32.382 9.824 -8.421 0.183 0.242 -0.654 -0.11
H -32.022 11.473 -5.691 0.908 0.118 -0.927 0.45
~~~

Brief
Transcribe only the last part of the rows above, starting with the line that has "-0.449 3.228", please.

Done
H -0.449 3.228 -0.450 -0.517 0.519 0.126 0.44
H -0.813 -0.174 -0.810 1.079 0.575 2.244 0.33
H -2.093 -0.160 1.527 -0.261 0.172 -0.105 0.37
H -1.236 -0.221 2.946 1.473 -0.121 -1.481 0.45
H -0.159 1.159 1.796 -0.318 -1.098 3.877 0.52
H 0.163 -2.682 1.703 0.307 0.321 0.766 0.24
H -0.754 -2.312 0.319 0.811 -0.365 -0.043 0.22
H 0.841 -3.126 0.164 0.256 -0.081 -0.313 0.23
H 1.541 -1.156 -0.359 0.324 0.600 -1.120 0.27
H 1.627 -0.591 1.222 -0.682 0.032 0.201 0.25
H -1.057 0.085 -4.152 2.252 -0.170 0.547 0.48
H 0.313 0.883 -4.087 -0.686 -1.408 0.251 0.48
O -0.089 0.001 -3.851 -1.604 1.584 -0.671 -0.96
```
Positions in Å, forces in eV/Å.

Entry 2:
A 9-piece molecular cluster, C19H56N8O9 overall. Source: OMol25; level of theory: ωB97M-V with the def2-TZVPD basis set.

Summary:
- Structure (SMILES): NC(N)=O.NC(N)=O.NC(N)=O.NC(N)=O.CC(C)O.CC(C)O.CC(C)O.CC(C)O.CC(C)O
- Total charge: 0
- Frontier orbital gap: 9.10 eV
- Energy relative to the best compared isomer or geometry (same formula, charge and spin): 10.080 eV

XYZ file:
```
92
Properties=species:S:1:pos:R:3:forces:R:3:mulliken_charge:R:1
N -28.679 14.950 -13.484 -0.489 3.299 -0.231 -0.23
C -28.516 13.920 -12.734 1.937 0.141 7.789 0.49
N -28.480 12.714 -13.258 0.199 -2.164 0.173 -0.32
O -28.303 14.142 -11.351 -1.270 -1.127 -6.170 -0.70
H -28.707 15.844 -12.996 -0.083 -0.473 -0.266 0.26
H -28.971 14.900 -14.437 -0.132 0.123 -0.225 0.32
H -28.059 11.929 -12.622 -0.541 1.084 -1.407 0.20
H -28.762 12.513 -14.259 0.492 0.562 1.487 0.26
N -29.062 14.649 -16.204 1.129 3.419 -0.772 -0.42
C -29.820 13.580 -16.169 -6.586 0.252 -3.492 0.25
N -29.105 12.519 -15.833 -0.058 -4.005 -0.379 -0.52
O -31.131 13.608 -16.534 6.464 -0.397 2.309 -0.69
H -29.343 15.503 -16.660 -0.412 -0.207 0.009 0.24
H -28.070 14.551 -16.100 0.238 -0.046 -0.107 0.24
H -29.716 11.644 -15.979 1.229 0.836 0.027 0.16
H -28.073 12.400 -16.015 -1.856 0.556 -0.056 0.32
N -26.810 12.189 -10.340 1.757 1.285 2.749 -0.12
C -26.435 11.228 -11.146 8.245 0.808 2.029 0.10
N -27.422 10.734 -11.841 -0.973 -3.299 -2.545 -0.25
O -25.123 10.848 -11.258 -6.281 1.339 0.210 -0.77
H -27.680 12.768 -10.420 0.891 -0.224 -0.437 0.16
H -25.987 12.516 -9.778 -1.552 -0.012 -0.751 0.25
H -26.942 9.982 -12.314 -0.536 -0.561 -0.917 0.25
H -28.179 10.332 -11.297 -0.150 0.100 0.008 0.32
N -29.070 7.376 -10.814 0.002 -4.104 -1.242 -0.36
C -29.784 8.292 -11.489 -1.953 -1.595 -5.380 -0.03
N -29.668 9.439 -10.884 -2.352 4.087 -0.805 0.00
O -30.417 8.072 -12.750 3.554 1.036 6.980 -0.62
H -29.060 6.439 -11.235 0.125 0.682 0.211 0.40
H -28.796 7.360 -9.843 -0.149 0.736 -0.126 0.19
H -30.143 10.303 -11.378 0.717 -1.375 1.123 -0.14
H -29.463 9.545 -9.901 -0.010 -0.384 -0.044 0.25
C -32.496 12.561 -8.650 1.195 1.390 2.257 -0.75
C -32.692 11.717 -7.364 -6.358 -0.645 -5.231 0.04
C -33.083 10.309 -7.754 0.371 1.293 -2.488 -1.35
O -31.693 11.651 -6.601 6.591 0.455 6.099 -0.51
H -32.428 13.623 -8.322 0.255 -0.690 -0.250 0.40
H -33.371 12.568 -9.227 -1.168 -0.560 -1.099 0.59
H -31.583 12.334 -9.236 -0.626 -0.201 0.466 -0.28
H -33.567 12.069 -6.793 -0.270 0.643 -0.490 0.30
H -34.067 10.277 -8.118 -1.355 -0.124 -1.045 0.49
H -33.074 9.695 -6.966 -0.022 -2.173 3.592 0.65
H -32.382 9.824 -8.421 0.183 0.242 -0.654 -0.11
H -32.022 11.473 -5.691 0.908 0.118 -0.927 0.45